== Listing ==
┌──
Starting from DFT lattice parameters and positions (PBE+U), the X-ray powder pattern of Rb2LiNd2W4O16 was computed for Cu Ka.

The 10 most intense peaks (2θ = 10–80°), in order of rising 2θ:
13.28 deg, I 17.1
15.62 deg, I 20.1
26.75 deg, I 100.0
28.55 deg, I 99.6
31.36 deg, I 32.0
31.54 deg, I 28.6
33.23 deg, I 21.9
45.07 deg, I 24.4
46.50 deg, I 29.4
55.13 deg, I 21.6

Structural model:
```
Rb2LiNd2W4O16
1.0
5.417 -5.673 0.000
5.417 5.673 0.000
-4.875 0.000 5.705
Rb Li Nd W O
2 1 2 4 16
Direct
0.000 0.000 0.000
0.540 0.460 0.500
0.761 0.239 0.000
0.511 0.489 0.000
0.983 0.017 0.500
0.044 0.554 0.540
0.063 0.536 0.042
0.446 0.956 0.460
0.464 0.937 0.958
0.108 0.482 0.294
0.128 0.826 0.277
0.137 0.315 0.887
0.174 0.872 0.723
0.332 0.619 0.769
0.381 0.181 0.617
0.381 0.668 0.231
0.399 0.004 0.206
0.518 0.892 0.706
0.546 0.211 0.064
0.685 0.863 0.113
0.719 0.035 0.580
0.789 0.454 0.936
0.819 0.619 0.383
0.965 0.281 0.420
0.996 0.601 0.794
```

* * * * *

# 1
Starting from the GGA-PBE geometry in Alexandria, the powder XRD pattern of TbCe2HoS5 was calculated for Cu Kα.

Largest 6 diffraction maxima, by intensity, 2θ = 10–80°:
25.07 deg, intensity 100
25.73 deg, intensity 97
36.71 deg, intensity 56
44.97 deg, intensity 44
51.45 deg, intensity 25
43.75 deg, intensity 25

a b c (Å): 4.8960 4.8960 10.3258
angles (deg): 90.00 90.00 90.00
Positions (direct):
1 Tb 0.0000 0.0000 0.0000
2 Ce 0.5000 0.5000 0.3003
3 Ce 0.5000 0.5000 0.6997
4 Ho 0.0000 0.0000 0.5000
5 S 0.0000 0.0000 0.2453
6 S 0.0000 0.0000 0.7547
7 S 0.0000 0.5000 0.5000
8 S 0.5000 0.0000 0.5000
9 S 0.5000 0.5000 0.0000


# 2
Starting from the GGA-PBE geometry in Alexandria, the powder XRD pattern of Tb5Nd2SmSc was calculated for Cu Kα.

Largest 6 diffraction maxima, by intensity, 2θ = 10–80°:
32.43 deg, intensity 100
31.92 deg, intensity 49
30.50 deg, intensity 39
26.89 deg, intensity 25
57.20 deg, intensity 20
28.18 deg, intensity 17

a b c (Å): 10.3521 10.3521 10.4709
angles (deg): 90.00 90.00 148.57
Positions (direct):
1 Tb 0.0172 0.9828 0.5000
2 Tb 0.1259 0.8741 0.7780
3 Tb 0.2031 0.7969 0.4622
4 Tb 0.2238 0.7762 0.0808
5 Tb 0.4833 0.5167 0.7766
6 Tb 0.5167 0.4833 0.2766
7 Tb 0.7762 0.2238 0.5808
8 Tb 0.7969 0.2031 0.9622
9 Tb 0.8741 0.1259 0.2780
10 Tb 0.9828 0.0172 0.0000
11 Nd 0.3851 0.6149 0.4936
12 Nd 0.3867 0.6133 0.0735
13 Nd 0.6133 0.3867 0.5735
14 Nd 0.6149 0.3851 0.9936
15 Sm 0.0895 0.9105 0.2180
16 Sm 0.9105 0.0895 0.7180
17 Sc 0.3040 0.6960 0.7734
18 Sc 0.6960 0.3040 0.2734


# 3
Starting from the GGA-PBE geometry in Alexandria, the powder XRD pattern of La3Tb6Sm was calculated for Cu Kα.

Largest 6 diffraction maxima, by intensity, 2θ = 10–80°:
31.22 deg, intensity 100
28.27 deg, intensity 70
33.66 deg, intensity 58
32.32 deg, intensity 29
27.89 deg, intensity 23
29.41 deg, intensity 18

a b c (Å): 11.0974 11.0974 6.4032
angles (deg): 90.00 90.00 120.19
Positions (direct):
1 La 0.1123 0.8877 0.5000
2 La 0.2108 0.4398 0.8923
3 La 0.4398 0.2108 0.3923
4 La 0.5602 0.7892 0.8923
5 La 0.7892 0.5602 0.3923
6 La 0.8877 0.1123 0.0000
7 Tb 0.0296 0.4495 0.2987
8 Tb 0.1238 0.2145 0.4765
9 Tb 0.2145 0.1238 0.9765
10 Tb 0.2244 0.7756 0.0742
11 Tb 0.4495 0.0296 0.7987
12 Tb 0.4635 0.5365 0.2968
13 Tb 0.5365 0.4635 0.7968
14 Tb 0.5505 0.9704 0.2987
15 Tb 0.7756 0.2244 0.5742
16 Tb 0.7855 0.8762 0.4765
17 Tb 0.8762 0.7855 0.9765
18 Tb 0.9704 0.5505 0.7987
19 Sm 0.3076 0.6924 0.5492
└──
== What to do ==
Echo the lines earlier on from the first line to the one with "0.5602 0.7892" without additions.
== Done ==
Starting from DFT lattice parameters and positions (PBE+U), the X-ray powder pattern of Rb2LiNd2W4O16 was computed for Cu Ka.

The 10 most intense peaks (2θ = 10–80°), in order of rising 2θ:
13.28 deg, I 17.1
15.62 deg, I 20.1
26.75 deg, I 100.0
28.55 deg, I 99.6
31.36 deg, I 32.0
31.54 deg, I 28.6
33.23 deg, I 21.9
45.07 deg, I 24.4
46.50 deg, I 29.4
55.13 deg, I 21.6

Structural model:
```
Rb2LiNd2W4O16
1.0
5.417 -5.673 0.000
5.417 5.673 0.000
-4.875 0.000 5.705
Rb Li Nd W O
2 1 2 4 16
Direct
0.000 0.000 0.000
0.540 0.460 0.500
0.761 0.239 0.000
0.511 0.489 0.000
0.983 0.017 0.500
0.044 0.554 0.540
0.063 0.536 0.042
0.446 0.956 0.460
0.464 0.937 0.958
0.108 0.482 0.294
0.128 0.826 0.277
0.137 0.315 0.887
0.174 0.872 0.723
0.332 0.619 0.769
0.381 0.181 0.617
0.381 0.668 0.231
0.399 0.004 0.206
0.518 0.892 0.706
0.546 0.211 0.064
0.685 0.863 0.113
0.719 0.035 0.580
0.789 0.454 0.936
0.819 0.619 0.383
0.965 0.281 0.420
0.996 0.601 0.794
```

* * * * *

# 1
Starting from the GGA-PBE geometry in Alexandria, the powder XRD pattern of TbCe2HoS5 was calculated for Cu Kα.

Largest 6 diffraction maxima, by intensity, 2θ = 10–80°:
25.07 deg, intensity 100
25.73 deg, intensity 97
36.71 deg, intensity 56
44.97 deg, intensity 44
51.45 deg, intensity 25
43.75 deg, intensity 25

a b c (Å): 4.8960 4.8960 10.3258
angles (deg): 90.00 90.00 90.00
Positions (direct):
1 Tb 0.0000 0.0000 0.0000
2 Ce 0.5000 0.5000 0.3003
3 Ce 0.5000 0.5000 0.6997
4 Ho 0.0000 0.0000 0.5000
5 S 0.0000 0.0000 0.2453
6 S 0.0000 0.0000 0.7547
7 S 0.0000 0.5000 0.5000
8 S 0.5000 0.0000 0.5000
9 S 0.5000 0.5000 0.0000


# 2
Starting from the GGA-PBE geometry in Alexandria, the powder XRD pattern of Tb5Nd2SmSc was calculated for Cu Kα.

Largest 6 diffraction maxima, by intensity, 2θ = 10–80°:
32.43 deg, intensity 100
31.92 deg, intensity 49
30.50 deg, intensity 39
26.89 deg, intensity 25
57.20 deg, intensity 20
28.18 deg, intensity 17

a b c (Å): 10.3521 10.3521 10.4709
angles (deg): 90.00 90.00 148.57
Positions (direct):
1 Tb 0.0172 0.9828 0.5000
2 Tb 0.1259 0.8741 0.7780
3 Tb 0.2031 0.7969 0.4622
4 Tb 0.2238 0.7762 0.0808
5 Tb 0.4833 0.5167 0.7766
6 Tb 0.5167 0.4833 0.2766
7 Tb 0.7762 0.2238 0.5808
8 Tb 0.7969 0.2031 0.9622
9 Tb 0.8741 0.1259 0.2780
10 Tb 0.9828 0.0172 0.0000
11 Nd 0.3851 0.6149 0.4936
12 Nd 0.3867 0.6133 0.0735
13 Nd 0.6133 0.3867 0.5735
14 Nd 0.6149 0.3851 0.9936
15 Sm 0.0895 0.9105 0.2180
16 Sm 0.9105 0.0895 0.7180
17 Sc 0.3040 0.6960 0.7734
18 Sc 0.6960 0.3040 0.2734


# 3
Starting from the GGA-PBE geometry in Alexandria, the powder XRD pattern of La3Tb6Sm was calculated for Cu Kα.

Largest 6 diffraction maxima, by intensity, 2θ = 10–80°:
31.22 deg, intensity 100
28.27 deg, intensity 70
33.66 deg, intensity 58
32.32 deg, intensity 29
27.89 deg, intensity 23
29.41 deg, intensity 18

a b c (Å): 11.0974 11.0974 6.4032
angles (deg): 90.00 90.00 120.19
Positions (direct):
1 La 0.1123 0.8877 0.5000
2 La 0.2108 0.4398 0.8923
3 La 0.4398 0.2108 0.3923
4 La 0.5602 0.7892 0.8923